(To do)
Print all of the block further down unchanged.

(Data)
********
[1]
A relaxed Na2Mo2Se2O11 crystal. Source: the Materials Project, functional GGA+U.

Cell: 9.0640 9.0640 9.5742 Å, 67.40 67.40 42.98°
With the nearest neighbours (Å) after each atom.
Fractional positions:
O  0.2922  0.8238  0.9689  1 Mo 1.74
O  0.7747  0.5807  0.0255  1 Se 1.72
O  0.8526  0.9336  0.3070  1 Mo 1.76
O  0.2253  0.4193  0.9745  1 Se 1.72
O  0.4821  0.2746  0.7050  1 Se 1.72
O  0.5183  0.0293  0.2360  1 Se 1.78
O  0.6231  0.3769  0.2500  2 Mo 1.94
O  0.1474  0.0664  0.6930  1 Mo 1.76
O  0.0664  0.1474  0.1930  1 Mo 1.76
O  0.2746  0.4821  0.2050  1 Se 1.72
O  0.8238  0.2922  0.4689  1 Mo 1.74
O  0.9707  0.4817  0.2640  1 Se 1.78
O  0.1762  0.7078  0.5311  1 Mo 1.74
O  0.7078  0.1762  0.0311  1 Mo 1.74
O  0.0293  0.5183  0.7360  1 Se 1.78
O  0.4817  0.9707  0.7640  1 Se 1.78
O  0.5179  0.7254  0.2950  1 Se 1.72
O  0.9336  0.8526  0.8070  1 Mo 1.76
O  0.5807  0.7747  0.5255  1 Se 1.72
O  0.4193  0.2253  0.4745  1 Se 1.72
O  0.7254  0.5179  0.7950  1 Se 1.72
O  0.3769  0.6231  0.7500  2 Mo 1.94
Se  0.9196  0.4169  0.8891  3 O 1.72-1.78
Se  0.5831  0.0804  0.6109  3 O 1.72-1.78
Se  0.4169  0.9196  0.3891  3 O 1.72-1.78
Se  0.0804  0.5831  0.1109  3 O 1.72-1.78
Na  0.0000  0.5000  0.5000  4 O 2.45-2.57
Na  0.2463  0.7537  0.2500  7 O 2.46-2.52
Na  0.5000  0.0000  0.0000  4 O 2.45-2.57
Na  0.7537  0.2463  0.7500  7 O 2.46-2.52
Mo  0.1781  0.6163  0.7269  2 O 1.74-1.76
Mo  0.8219  0.3837  0.2731  2 O 1.74-1.76
Mo  0.3837  0.8219  0.7731  2 O 1.74-1.76
Mo  0.6163  0.1781  0.2269  2 O 1.74-1.76

ΔE_f (eV per atom): -1.790
Electronic total energy (eV per cell): -204.43

---

[2]
A relaxed Li9Mn2Co5O16 crystal. Source: the Materials Project, functional GGA+U.

Cell: 5.8406 5.9128 9.7278 Å, 91.85 99.20 119.39°
With the nearest neighbours (Å) after each atom.
Fractional positions:
Co  0.0055  0.5040  0.0048  5 O 1.88-2.05
Co  0.7544  0.1302  0.7439  5 O 1.86-2.07
Co  0.2465  0.8779  0.2539  4 O 1.88-1.97
Co  0.4943  0.7434  0.4979  6 O 1.98-2.09
Co  0.2494  0.3659  0.2615  5 O 1.89-2.09
O  0.4042  0.4557  0.6327  1 Mn 1.88, 3 Li 2.03-2.08, 1 Co 2.09
O  0.5884  0.0302  0.3704  2 Co 1.88-2.04, 3 Li 2.02-2.07
O  0.6008  0.5589  0.3706  2 Co 1.89-1.98, 2 Li 2.06
O  0.8877  0.1905  0.1147  1 Mn 1.95, 2 Co 2.04-2.09, 1 Li 2.06
O  0.3555  0.1934  0.1143  1 Mn 1.91, 2 Li 2.04-2.08, 1 Co 2.07
O  0.4145  0.9429  0.6302  2 Co 1.86-1.98, 1 Li 2.03
O  0.3428  0.6868  0.1262  2 Co 1.88-1.97
O  0.1223  0.5490  0.3748  3 Co 1.98-2.17, 3 Li 2.03-2.04
O  0.0921  0.2829  0.8787  2 Co 1.94-2.05, 1 Mn 1.96
O  0.8599  0.9205  0.6369  1 Mn 1.96, 2 Co 1.97-2.07, 2 Li 2.08-2.19
O  0.1332  0.0554  0.3637  2 Co 1.88-1.98, 2 Li 2.05-2.07
O  0.6508  0.8100  0.8786  2 Mn 1.94-2.01, 2 Li 2.11-2.16
O  0.6576  0.3391  0.8636  1 Mn 1.96, 2 Co 2.00-2.01, 1 Li 2.14
O  0.8776  0.4549  0.6371  1 Mn 1.88, 2 Li 2.01-2.10, 1 Co 2.07
O  0.1059  0.8154  0.8790  2 Mn 1.95-2.01, 1 Li 2.12, 1 Co 2.13
O  0.9042  0.7269  0.1180  1 Mn 1.94, 2 Co 1.97-2.05, 2 Li 2.11-2.14
Li  0.5009  0.2466  0.5006  6 O 2.06-2.16
Li  0.4998  0.5047  0.0034  6 O 2.04-2.20
Li  0.2598  0.1294  0.7390  6 O 2.08-2.24
Li  0.2591  0.6364  0.7427  5 O 2.01-2.21
Li  0.0000  0.2558  0.4986  5 O 2.04-2.21
Li  0.4974  0.9970  0.0043  5 O 2.06-2.18
Li  0.7377  0.3565  0.2649  5 O 2.03-2.24
Li  0.7442  0.8686  0.2556  5 O 2.02-2.18
Li  0.9998  0.7437  0.4945  6 O 2.04-2.25
Mn  0.0035  0.0053  0.9997  6 O 1.91-1.96
Mn  0.7504  0.6222  0.7452  6 O 1.88-2.01

ΔE_f (eV per atom): -1.822
Electronic total energy (eV per cell): -186.01

---

[3]
A relaxed Li3FeP2O8 crystal. Source: the Materials Project, functional GGA+U.

Cell: 8.7423 8.7506 9.2029 Å, 87.83 87.35 66.63°
With the nearest neighbours (Å) after each atom.
Fractional positions:
O  0.9823  0.6872  0.0994  1 P 1.57
O  0.0003  0.1241  0.1531  1 P 1.54
O  0.1061  0.0189  0.6116  1 P 1.54
O  0.1603  0.5734  0.8806  1 P 1.58
O  0.3164  0.4639  0.2943  1 P 1.54
O  0.8866  0.9742  0.3892  1 P 1.54
O  0.1604  0.3138  0.1407  1 P 1.57
********

(Response)
[1]
A relaxed Na2Mo2Se2O11 crystal. Source: the Materials Project, functional GGA+U.

Cell: 9.0640 9.0640 9.5742 Å, 67.40 67.40 42.98°
With the nearest neighbours (Å) after each atom.
Fractional positions:
O  0.2922  0.8238  0.9689  1 Mo 1.74
O  0.7747  0.5807  0.0255  1 Se 1.72
O  0.8526  0.9336  0.3070  1 Mo 1.76
O  0.2253  0.4193  0.9745  1 Se 1.72
O  0.4821  0.2746  0.7050  1 Se 1.72
O  0.5183  0.0293  0.2360  1 Se 1.78
O  0.6231  0.3769  0.2500  2 Mo 1.94
O  0.1474  0.0664  0.6930  1 Mo 1.76
O  0.0664  0.1474  0.1930  1 Mo 1.76
O  0.2746  0.4821  0.2050  1 Se 1.72
O  0.8238  0.2922  0.4689  1 Mo 1.74
O  0.9707  0.4817  0.2640  1 Se 1.78
O  0.1762  0.7078  0.5311  1 Mo 1.74
O  0.7078  0.1762  0.0311  1 Mo 1.74
O  0.0293  0.5183  0.7360  1 Se 1.78
O  0.4817  0.9707  0.7640  1 Se 1.78
O  0.5179  0.7254  0.2950  1 Se 1.72
O  0.9336  0.8526  0.8070  1 Mo 1.76
O  0.5807  0.7747  0.5255  1 Se 1.72
O  0.4193  0.2253  0.4745  1 Se 1.72
O  0.7254  0.5179  0.7950  1 Se 1.72
O  0.3769  0.6231  0.7500  2 Mo 1.94
Se  0.9196  0.4169  0.8891  3 O 1.72-1.78
Se  0.5831  0.0804  0.6109  3 O 1.72-1.78
Se  0.4169  0.9196  0.3891  3 O 1.72-1.78
Se  0.0804  0.5831  0.1109  3 O 1.72-1.78
Na  0.0000  0.5000  0.5000  4 O 2.45-2.57
Na  0.2463  0.7537  0.2500  7 O 2.46-2.52
Na  0.5000  0.0000  0.0000  4 O 2.45-2.57
Na  0.7537  0.2463  0.7500  7 O 2.46-2.52
Mo  0.1781  0.6163  0.7269  2 O 1.74-1.76
Mo  0.8219  0.3837  0.2731  2 O 1.74-1.76
Mo  0.3837  0.8219  0.7731  2 O 1.74-1.76
Mo  0.6163  0.1781  0.2269  2 O 1.74-1.76

ΔE_f (eV per atom): -1.790
Electronic total energy (eV per cell): -204.43

---

[2]
A relaxed Li9Mn2Co5O16 crystal. Source: the Materials Project, functional GGA+U.

Cell: 5.8406 5.9128 9.7278 Å, 91.85 99.20 119.39°
With the nearest neighbours (Å) after each atom.
Fractional positions:
Co  0.0055  0.5040  0.0048  5 O 1.88-2.05
Co  0.7544  0.1302  0.7439  5 O 1.86-2.07
Co  0.2465  0.8779  0.2539  4 O 1.88-1.97
Co  0.4943  0.7434  0.4979  6 O 1.98-2.09
Co  0.2494  0.3659  0.2615  5 O 1.89-2.09
O  0.4042  0.4557  0.6327  1 Mn 1.88, 3 Li 2.03-2.08, 1 Co 2.09
O  0.5884  0.0302  0.3704  2 Co 1.88-2.04, 3 Li 2.02-2.07
O  0.6008  0.5589  0.3706  2 Co 1.89-1.98, 2 Li 2.06
O  0.8877  0.1905  0.1147  1 Mn 1.95, 2 Co 2.04-2.09, 1 Li 2.06
O  0.3555  0.1934  0.1143  1 Mn 1.91, 2 Li 2.04-2.08, 1 Co 2.07
O  0.4145  0.9429  0.6302  2 Co 1.86-1.98, 1 Li 2.03
O  0.3428  0.6868  0.1262  2 Co 1.88-1.97
O  0.1223  0.5490  0.3748  3 Co 1.98-2.17, 3 Li 2.03-2.04
O  0.0921  0.2829  0.8787  2 Co 1.94-2.05, 1 Mn 1.96
O  0.8599  0.9205  0.6369  1 Mn 1.96, 2 Co 1.97-2.07, 2 Li 2.08-2.19
O  0.1332  0.0554  0.3637  2 Co 1.88-1.98, 2 Li 2.05-2.07
O  0.6508  0.8100  0.8786  2 Mn 1.94-2.01, 2 Li 2.11-2.16
O  0.6576  0.3391  0.8636  1 Mn 1.96, 2 Co 2.00-2.01, 1 Li 2.14
O  0.8776  0.4549  0.6371  1 Mn 1.88, 2 Li 2.01-2.10, 1 Co 2.07
O  0.1059  0.8154  0.8790  2 Mn 1.95-2.01, 1 Li 2.12, 1 Co 2.13
O  0.9042  0.7269  0.1180  1 Mn 1.94, 2 Co 1.97-2.05, 2 Li 2.11-2.14
Li  0.5009  0.2466  0.5006  6 O 2.06-2.16
Li  0.4998  0.5047  0.0034  6 O 2.04-2.20
Li  0.2598  0.1294  0.7390  6 O 2.08-2.24
Li  0.2591  0.6364  0.7427  5 O 2.01-2.21
Li  0.0000  0.2558  0.4986  5 O 2.04-2.21
Li  0.4974  0.9970  0.0043  5 O 2.06-2.18
Li  0.7377  0.3565  0.2649  5 O 2.03-2.24
Li  0.7442  0.8686  0.2556  5 O 2.02-2.18
Li  0.9998  0.7437  0.4945  6 O 2.04-2.25
Mn  0.0035  0.0053  0.9997  6 O 1.91-1.96
Mn  0.7504  0.6222  0.7452  6 O 1.88-2.01

ΔE_f (eV per atom): -1.822
Electronic total energy (eV per cell): -186.01

---

[3]
A relaxed Li3FeP2O8 crystal. Source: the Materials Project, functional GGA+U.

Cell: 8.7423 8.7506 9.2029 Å, 87.83 87.35 66.63°
With the nearest neighbours (Å) after each atom.
Fractional positions:
O  0.9823  0.6872  0.0994  1 P 1.57
O  0.0003  0.1241  0.1531  1 P 1.54
O  0.1061  0.0189  0.6116  1 P 1.54
O  0.1603  0.5734  0.8806  1 P 1.58
O  0.3164  0.4639  0.2943  1 P 1.54
O  0.8866  0.9742  0.3892  1 P 1.54
O  0.1604  0.3138  0.1407  1 P 1.57